Woods Hole Immunoparasitology Meeting (WHIP)
WHIP 2022 Highlights
Keynote talks: There were three outstanding keynote talks. Dr. Tania Watts (University of
Toronto) discussed myeloid cell responses to inflammation. Dr. Boris Striepen (University of
Pennsylvania) provided outstanding new data the genetics of and host response to
Cryptosporidium parasites. Dr. Keke Fairfax (University of Utah) described her work on the role
of helminth infection at the maternal-fetal interface and how type 2 immunity impacts metabolism.
Career development panel: Dr. P'ng Loke (NIH), Dr. Keke Fairfax (University of Utah), Dr. Tiffany Reese (UT Southwestern) oversaw conversations with graduate students and postdocs focused on career-stage appropriate development.
Sponsorship: Generous support for the meeting was provided by the American Association of
Immunologists (AAI), the National Institute of Allergy and Infectious Disease (NIAID), the
American Society for Hygeine and Tropical Medicine, the University of Pennsylvania,the
International Cytokine and Interferon Society (ICIS), and the Burroughs Wellcome Fund (BWF).
BWF sponsored 13 travel awards, 3 virtual talk awards, 3 virtual poster presentation awards, and
2 virtual poster lightning talk awards.

/*
No. 1
C21H26N4O4S2 in the gas phase in a non-equilibrium geometry. Source: the Open Molecules 2025 dataset; level of theory: ωB97M-V/def2-TZVPD.

CARTESIAN COORDINATES (ANGSTROEM)
N 2.879067 1.495484 0.228786
C 2.587009 2.587790 0.395210
C 2.203066 3.957075 0.617186
C 0.949304 4.320519 -0.198763
N -0.132173 3.399541 0.048193
C -0.936061 3.611342 1.237455
C -1.512831 2.304935 1.696880
C -2.876153 2.137118 1.900021
C -3.348299 0.900874 2.311304
C -2.432942 -0.121895 2.502906
N -1.132545 0.027456 2.312093
C -0.687676 1.205103 1.917841
S -1.009334 2.840723 -1.282466
O -0.414386 3.401542 -2.460359
O -2.404465 3.062289 -1.039370
C -0.676952 1.082471 -1.276110
C 0.561030 0.652310 -1.714618
C 0.832790 -0.705712 -1.739535
C -0.137782 -1.599170 -1.323104
S 0.199317 -3.373837 -1.417753
O 0.956690 -3.567248 -2.620008
O -1.052539 -4.055199 -1.262164
N 1.156491 -3.772702 -0.148173
C 2.582730 -3.594695 -0.247698
C 3.209941 -2.790528 0.898890
C 2.326951 -1.670798 1.452631
C 1.345789 -2.157145 2.519206
C 0.159024 -2.937522 1.962146
C 0.546873 -4.141505 1.103440
C -1.382806 -1.166251 -0.906127
C -1.659151 0.191880 -0.886266
H 3.028965 4.610992 0.326375
H 2.016427 4.087464 1.687218
H 0.657874 5.353261 0.036323
H 1.163412 4.260064 -1.267216
H -1.745645 4.324347 1.034668
H -0.291830 4.023666 2.020146
H -3.554209 2.959027 1.725625
H -4.401711 0.736340 2.475474
H -2.745404 -1.106318 2.824137
H 0.381894 1.275073 1.764160
H 1.285418 1.375481 -2.050055
H 1.777311 -1.076153 -2.102680
H 2.751938 -3.102888 -1.205094
H 3.065079 -4.581166 -0.297980
H 4.143860 -2.367373 0.525376
H 3.466160 -3.466280 1.717763
H 1.782913 -1.181963 0.644378
H 2.976463 -0.918679 1.904755
H 0.942907 -1.291759 3.047296
H 1.883822 -2.774811 3.243290
H -0.456157 -2.262812 1.366596
H -0.448662 -3.292882 2.796671
H -0.351816 -4.708972 0.850977
H 1.235605 -4.796911 1.643234
H -2.121731 -1.901285 -0.628015
H -2.624223 0.573112 -0.592134

Forces on atoms 1 to 3 (eV/Å):
N 0.2 -0.6 -0.1
C 0.1 -0.1 0.1
C -0.4 0.7 0.0

Calculated values
Total energy   -58018.8645 eV
E_LUMO   0.2 eV
Relative energy (zero: lowest compared OMol25 entry of this formula, charge and spin)   53.7 kcal per mole
Spin multiplicity   1

These are the Löwdin partial charges, in e, on atoms 1 to 8: N 0.199; C -0.218; C -0.140; C -0.198; N -0.229; C -0.153; C -0.212; C -0.023

***

No. 2
C47H45O6P4Sr as an isolated structure in a non-equilibrium geometry. Source: the Open Molecules 2025 dataset; level of theory: ωB97M-V/def2-TZVPD.

CARTESIAN COORDINATES (ANGSTROEM)
Sr -0.764694 -0.549633 0.047054
O -1.141551 -1.913481 3.566429
C -0.428253 -1.621989 2.611825
C 1.008736 -2.118692 2.692249
C 1.327746 -3.430093 3.020448
C 2.652469 -3.840010 3.061419
C 3.667554 -2.930534 2.803627
C 3.363702 -1.616808 2.473868
C 2.035834 -1.208341 2.398501
P 1.493440 0.468443 1.930500
C 0.914612 1.164002 3.507777
C 1.733104 1.133683 4.638938
C 1.291947 1.669517 5.835635
C 0.030638 2.251499 5.917782
C -0.795453 2.278744 4.804598
C -0.350250 1.729681 3.608985
*/

ICIS Travel Award

AAI generously supported 3 in-person talk awards, 3 in-person poster presentation awards, and
2 in-person poster lightning talk awards.
AAI In-person Oral Presentation Award Recipients:
First Prize: Ryan Pardy (Postdoc) – University of Pennsylvania: The role of interferon-gamma
in resistance to Cryptosporidium infection.
Second Prize: Julia Alvarez (student) – UC Merced: Sugar modifications to the GPI regulate
Toxoplasma gondii virulence.
Third Prize: Edward Vizcarra (student) – UC Riverside: Understanding the effects of glutamate
on mGluR+ CD8 T cells recruited to the T. gondii infected brain.

AAI In-person Poster Presentation Award Recipients:
First Prize: Oyebola Oyesola (postdoc) – NIH/NIAID: Effect of genetics and environment on
immune composition and responsiveness in rewilded mice
Second Prize: Zachary Lanzar (student) – University of Pennsylvania: Impact of toxoplasma
gondii-induced crash on Treg homeostasis
Third Prize: Annabel Ferguson (student) – University of Pennsylvania: Hookworm adaptation
to Type 2 immune responses

Unrelated to this text: data records:
=====
The following is a quantum chemistry calculation of ClH6O3Pd as an isolated structure in a non-equilibrium geometry, from the OMol25 dataset.

Structure (XYZ):
```
11
ClH6O3Pd (ωB97M-V with the def2-TZVPD basis set)
Pd -3.46 1.49 -0.22
Cl -1.50 1.33 -0.17
O 0.87 0.99 2.20
H 0.29 1.24 1.47
H 1.80 0.99 1.87
O -0.67 -2.01 -0.26
H -0.11 -1.25 -0.39
H -0.84 -2.31 -1.16
O 1.43 -0.23 -0.79
H 1.54 -0.55 -1.72
H 0.67 0.32 -0.82
```

The calculation puts the relative energy (zero: lowest compared OMol25 entry of this formula, charge and spin) at 0.0000 eV. The charge is +1. The calculation puts the HOMO-LUMO gap (spin up / spin down) at 7.92 / 4.41 eV. The LUMO energy (spin up / spin down) is -6.55 / -9.97 eV. For the highest occupied orbital energy (spin up / spin down), the calculation gives -14.46 / -14.37 eV. The expectation value of S² is 2.01. The multiplicity is 3.

Results of the natural (NBO) charge analysis, in e, for atoms 1 through 8: Pd 0.996; Cl -0.083; O -0.918; H 0.436; H 0.492; O -0.877; H 0.463; H 0.468

=====

The following is a quantum chemistry calculation of ClH8NaO4 as an isolated structure, from the OMol25 dataset.

Structure (XYZ):
```
14
ClH8NaO4 (ωB97M-V with the def2-TZVPD basis set)
Na -15.82 -7.01 -13.54
Cl -16.72 -8.48 -11.31
O -14.55 -8.82 -14.81
H -14.32 -8.87 -15.75
H -13.92 -9.39 -14.36
O -17.66 -6.23 -15.00
H -17.58 -6.19 -15.96
H -18.57 -6.49 -14.84
O -18.24 -9.21 -14.09
H -17.80 -9.05 -13.22
H -19.16 -8.95 -13.93
O -14.46 -5.59 -14.97
H -14.37 -5.67 -15.92
H -13.56 -5.48 -14.64
```

The calculation puts the relative energy (zero: lowest compared OMol25 entry of this formula, charge and spin) at 0.0538 eV. The charge is 0. The calculation puts the HOMO-LUMO gap at 7.41 eV. The LUMO energy is -0.70 eV. For the highest occupied orbital energy, the calculation gives -8.11 eV.

Results of the natural (NBO) charge analysis, in e, for atoms 1 through 8: Na 0.937; Cl -0.929; O -0.959; H 0.476; H 0.489; O -0.962; H 0.477; H 0.492

=====

The following is a quantum chemistry calculation of ClH8NaO4 as an isolated structure, from the OMol25 dataset.

Structure (XYZ):
```
14
ClH8NaO4 (ωB97M-V with the def2-TZVPD basis set)
Na 14.05 3.61 10.78
Cl 15.60 2.18 8.67
O 14.44 5.53 7.70
H 13.56 5.50 7.31
H 14.60 4.63 7.98
O 17.59 -0.53 8.82
H 17.61 -0.45 9.77
H 16.82 -0.04 8.55
O 18.07 2.20 6.73
H 17.66 1.96 5.90
H 17.34 2.34 7.33
O 12.90 0.47 8.15
H 13.71 0.85 8.46
H 12.48 0.12 8.94
```

The calculation puts the relative energy (zero: lowest compared OMol25 entry of this formula, charge and spin) at 3.2743 eV. The charge is +1. The calculation puts the HOMO-LUMO gap (spin up / spin down) at 9.69 / 4.33 eV. The LUMO energy (spin up / spin down) is -5.37 / -10.01 eV. For the highest occupied orbital energy (spin up / spin down), the calculation gives -15.06 / -14.34 eV. The expectation value of S² is 0.75. The multiplicity is 2.
=====

AAI In-person Poster Lightning Talk Award Recipients:
Stephanie Orchanian (student) – UC Irvine: Deficiency in astrocyte CCL2 production reduces
immune cell infiltration and host defense in the CNS during chronic, but not acute, Toxoplasma
gondii infection.
Hannah Federman (student) – Rutgers University: Investigating the role of serotonin 2C in
regulating helminth-induced inflammation.